(9) Is This the End

508 19 14

TWs: Suicide Attempt, Suicidal thoughts, Mentions of Homophobia, Depression

Ranboo POV:

Journal Entry No.94:

Its been a week since Tubbo and I seemingly fell out. After Tommy told Phil and Kristin about what Tubbo had done, they decided to not allow Tubbo to come over here anymore. Tommy was obviously sad but he understood why.

The past week has been hell for me. I lost my only friend because of something I did, because of who I am.

Everything and everyone gets taken away from me because of who I am and I dont think I can live with that anymore.

Do I belong in this world?

I put my journal down on the bedside table before laying down on the bed, staring up to the plain ceiling of my bedroom. Thoughts rushing through my head as I lay, very few of them good.

It was a while later when there was a knock on my bedroom door.

"Come in" I say with a hoarse from the lack of talking that I had done this past week. The door opens to reveal Wilbur with a plate of food. I'm assuming it was dinner.

Entry a
Density functional theory data (wB97M-V/def2-TZVPD) for one molecule with the formula C5H8FNO.

Geometry as ORCA input:
```
! RIJCOSX wB97M-V def2-TZVPD def2/J DEFGRID3
* xyz 0 1
C 1.33 -1.31 0.43
C 0.07 -0.67 -0.43
C 0.90 2.43 0.12
C -1.27 -0.87 0.09
C -2.45 -0.13 0.05
H 1.07 -2.43 0.56
H 1.51 -0.67 1.38
H 0.22 -1.20 -1.32
H 0.82 3.09 -0.85
H 1.08 2.86 1.27
H -1.45 -2.00 -0.02
H -2.23 0.95 -0.32
H -3.50 -0.63 0.00
N 0.88 1.14 0.21
O 0.48 0.54 -0.90
F 2.56 -1.09 -0.27
*
```

Computed properties:
SMILES: C=C[C@H](CF)ON=C
Molecular weight (g mol⁻¹): 117.1

Here are the Mulliken charges for atoms 1 to 2, given in e: number 1, C, carries -0.303; number 2, C, carries 0.480

***

Entry b
Density functional theory data (wB97M-V/def2-TZVPD) for one molecule with the formula C5H8FNO.

Geometry as ORCA input:
```
! RIJCOSX wB97M-V def2-TZVPD def2/J DEFGRID3
* xyz 0 1
C 0.56 0.70 0.23
C -0.53 0.37 1.18
C -1.49 -0.44 0.21
C 0.69 -0.61 -0.54
C 1.91 0.24 -0.36
H -0.50 1.29 -1.18
H -0.97 1.27 1.61
H -0.17 -0.31 1.97
H -2.39 0.14 -0.08
H -1.89 -1.30 0.79
H -0.80 -1.54 -1.49
H 0.91 -1.50 0.07
H 2.34 0.95 -1.07
N -0.68 -0.61 -1.08
O 0.15 1.74 -0.61
F 2.87 -0.39 0.34
*
```

Computed properties:
SMILES: O[C@@]12CCN[C@H]1[C@@H]2F
Molecular weight (g mol⁻¹): 117.1

Here are the Mulliken charges for atoms 1 to 2, given in e: number 1, C, carries 0.494; number 2, C, carries -0.757

***

The structure with the least stability is entry a.

***

Entry a
Density functional theory data (wB97M-V/def2-TZVPD) for C5H9O3 as an isolated structure.

Geometry as ORCA input:
```
! RIJCOSX wB97M-V def2-TZVPD def2/J DEFGRID3
* xyz -1 1
O -1.85 -0.65 -1.53
C -1.54 0.51 -1.11
C -0.45 1.23 -1.92
O 0.67 1.60 -1.13
C 0.85 0.77 -0.01
C -0.34 -0.15 0.25
O -0.48 -0.61 1.57
C 0.54 -1.46 2.02
H -1.39 0.57 0.19
H -0.13 0.61 -2.78
H -0.88 2.16 -2.32
H 1.02 1.42 0.86
H 1.75 0.14 -0.14
H -0.22 -1.04 -0.40
H 0.23 -1.87 2.99
H 0.70 -2.30 1.31
H 1.50 -0.93 2.16
*
```

Computed properties:
Molecular weight (g mol⁻¹): 117.1

Here are the Mulliken charges for atoms 1 to 2, given in e: number 1, O, carries -0.557; number 2, C, carries -0.487

***

Entry b
Density functional theory data (wB97M-V/def2-TZVPD) for C5H9O3 as an isolated structure.

Geometry as ORCA input:
```
! RIJCOSX wB97M-V def2-TZVPD def2/J DEFGRID3
* xyz -1 1
C 2.44 1.05 0.03
O 3.21 0.02 -1.10
C 1.39 0.08 0.58
C 0.36 -0.43 -0.49
C -0.84 -1.01 0.23
C -2.04 -0.32 0.34
O -2.04 0.90 -0.39
O -3.11 -0.65 0.90
H 1.83 1.91 -0.26
H 3.16 1.34 0.79
H 1.93 -0.75 1.07
H 0.79 0.54 1.39
H -0.01 0.41 -1.11
H 0.83 -1.10 -1.22
H -0.73 -1.77 1.00
H 2.92 0.99 -1.15
H -2.85 1.34 -0.09
*
```

Computed properties:
Molecular weight (g mol⁻¹): 117.1

Here are the Mulliken charges for atoms 1 to 2, given in e: number 1, C, carries -0.515; number 2, O, carries -0.527

***

The structure with the least stability is entry a.

***

Entry a
Density functional theory data (wB97M-V/def2-TZVPD) for C5H12SSi as an isolated structure.

Geometry as ORCA input:
```
The piece goes on =

"I thought I would bring your dinner up to you as I doubt you would be up to eating with everyone else" Wilbur speaks with a smile. I nod my head and give him a "thank you"

### Molecular data that have nothing to do with the article
┌──
Density functional theory data (ωB97M-V/def2-TZVPD) for 2 unconnected molecules or ions with the total composition C4H6O6S2 at a distorted geometry.

Geometry as XYZ:
```
18
Properties=species:S:1:pos:R:3
C 2.16 -0.94 0.83
C 2.02 -0.18 -0.17
C -0.85 0.80 -0.91
C -1.43 0.05 0.30
O -0.09 -2.11 1.14
O -3.01 2.12 0.78
O -0.57 -1.92 -1.23
O -2.23 -2.43 0.50
O -3.78 0.32 -0.75
O -3.63 -0.03 1.70
S -1.09 -1.68 0.12
S -3.10 0.66 0.52
H 2.76 -1.37 1.66
H 1.25 -1.60 0.77
H -0.83 0.39 1.22
H -0.85 0.03 -1.63
H 0.22 1.03 -0.66
H -1.51 1.71 -1.19
```

Output
* net charge: -2
* electronic energy: -38196.8994 eV
* HOMO level: -1.842 eV
* energy above the lowest of the compared OMol25 structures with the same formula, charge and spin: 78.2 kcal/mol
* gap between HOMO and LUMO: 7.88 eV
* multiplicity: 1

Density functional theory data (ωB97M-V/def2-TZVPD) for a single C2H5NO3 molecule at a distorted geometry.

Geometry as XYZ:
```
11
Properties=species:S:1:pos:R:3
C -0.18 1.04 -0.19
C -0.21 -0.56 0.10
N 0.91 1.59 -0.28
O -0.65 -0.93 1.34
O 1.14 -1.04 -0.09
O -0.93 -1.08 -0.92
H -1.11 1.42 0.10
H 0.84 2.57 -0.49
H -0.31 -0.41 2.06
H 1.66 -0.62 -0.80
H -1.15 -1.97 -0.83
```

Output
* electronic energy: -9786.3333 eV
* HOMO level: -10.040 eV
* energy above the lowest of the compared OMol25 structures with the same formula, charge and spin: 42.8 kcal/mol
* gap between HOMO and LUMO: 10.79 eV
* multiplicity: 1
* structure (SMILES): [H]/N=C/C(O)(O)O

Density functional theory data (ωB97M-V/def2-TZVPD) for a single C20H17F2NO4S molecule at a distorted geometry.

Geometry as XYZ:
```
45
Properties=species:S:1:pos:R:3
O -0.87 -3.15 0.27
C -0.19 -2.23 0.68
N -0.62 -1.31 1.58
H -0.04 -0.52 1.80
C -1.96 -1.35 2.13
C -2.89 -0.42 1.39
C -3.61 -0.88 0.30
C -4.45 -0.04 -0.41
C -4.54 1.29 -0.01
C -3.83 1.78 1.07
C -3.00 0.92 1.76
H -2.43 1.29 2.60
H -3.92 2.82 1.35
F -5.36 2.12 -0.69
H -5.02 -0.38 -1.25
H -3.51 -1.92 0.00
H -1.91 -1.08 3.19
H -2.31 -2.38 2.03
C 1.21 -2.00 0.27
C 2.01 -2.67 -0.61
C 3.24 -1.98 -0.62
C 3.10 -0.94 0.26
C 4.01 0.15 0.69
H 4.42 -0.03 1.69
H 4.82 0.32 -0.01
S 3.09 1.74 0.90
O 1.93 1.51 1.71
O 4.06 2.69 1.38
C 2.59 2.27 -0.79
C 1.47 1.43 -1.28
C 0.18 1.66 -0.83
C -0.89 0.86 -1.21
C -0.66 -0.20 -2.06
C 0.62 -0.44 -2.54
C 1.67 0.37 -2.15
H 2.66 0.19 -2.54
H 0.80 -1.26 -3.22
H -1.48 -0.84 -2.35
H -1.87 1.09 -0.83
F -0.06 2.72 -0.03
H 2.30 3.31 -0.65
H 3.49 2.20 -1.40
O 1.88 -0.96 0.80
H 4.11 -2.22 -1.20
H 1.75 -3.54 -1.18
```

Output
* electronic energy: -46966.1127 eV
* HOMO level: -8.795 eV
* energy above the lowest of the compared OMol25 structures with the same formula, charge and spin: 0.0 kcal/mol
* gap between HOMO and LUMO: 9.23 eV
* multiplicity: 1
* structure (SMILES): O=C(NCc1ccc(F)cc1)c1ccc(CS(=O)(=O)Cc2ccccc2F)o1

Density functional theory data (ωB97M-V/def2-TZVPD) for a molecular structure, C33H52BGeN8ReSSe2.

Geometry as XYZ:
```
99
Properties=species:S:1:pos:R:3
Re -0.96 -0.55 0.79
B 1.51 -0.32 2.92
N 0.19 0.39 3.36
C -0.12 0.99 4.50
└──
### Back to the article

He placed the food on the bedside table next to my journal and went to leave before stopping.

"We are worried about you Ranboo, I dont want to force you too talk to us but we would love it if you did" Wilbur spoke with sadness in his voice before leaving the room.

'Great, now all of them hate me' I thought to myself as I pick up the plate of chicken and salad.


Journal Entry No.95:

Another week has passed and I am really losing it. Phil and Kristin have been trying to get me to go and see my therapist, George, again but I have been refusing. Tommy has been coming into my room everyday and trying to get me to play games with him but I always push him away.

I think Wilbur has been taking this the hardest to be honest. Every night I see Wilbur leave the house and go somewhere through my window and then come back drunk a few hours later.

I havent seen Techno at all this past week, god knows what he has been doing but I dont blame him for not caring about me. If I was him, I sure wouldn't.

I'm sure that they want to get rid of me at this point. I'm way too much work for them, its clearly taking a toll so its only a matter of time before I get kicked out off another home. They may have adopted me but its never too late I am sure.

Is this the end for me?

As soon as I finished my journal entry there was a knock at my door.

"Come in" I said like always. The door opened a few seconds later and Wilbur entered with food once again. He would do this every night as he knew that I wouldnt leave my room to go downstairs and eat dinner.

In fact, for the past couple of weeks the only times I would leave my room would be to go the toilet or to have a shower. I may be sad but I like to keep my hygiene up.

He placed the food on the bedside table as usual. Wilbur would usually try and get me to talk to him in this time but tonight he just quickly left after placing the food down.

My appetite was low and I would never actually finish the meals I was given. Tonight it was a burger with some chips (or fries like you americans say). I managed to eat about half of the burger and most of the chips so I didn't do too badly.

A Life full of Promise - Ranboo Adoption AUWhere stories live. Discover now